_Exercise_
It remains to return the part of the calculation results further below that starts with the line with "3.1064 3.7924" and stops after the one with "1.0435".
_Listing_
- - -
Molecular formula: C46H57BClN5O4P2ReSSb2
Method: DFT, wB97M-V/def2-TZVPD

Each line ends with the Löwdin charge.
CARTESIAN COORDINATES (ANGSTROEM)
Re -0.8001 -0.0775 -1.2368  1.13
C -2.1441 -0.7423 3.1138  -0.26
Sb -2.3641 -0.3800 1.0357  1.33
C -3.9682 -1.7642 0.7776  -0.26
C -3.5236 1.4396 1.2047  -0.27
C -4.9760 1.0972 1.1108  -0.31
C -5.6986 0.7898 2.2577  -0.06
C -7.0166 0.3610 2.1849  -0.05
C -7.6223 0.2272 0.9462  -0.05
C -6.9200 0.5680 -0.2009  -0.03
C -5.6054 1.0213 -0.1422  -0.27
C -4.9755 1.5382 -1.4088  -0.26
Sb -3.2437 0.6933 -2.3695  1.38
C -4.0746 -0.9053 -3.4872  -0.26
C -3.1551 2.1106 -3.9359  -0.25
H -1.7773 -1.7471 3.3091  0.02
H -3.1513 -0.6449 3.5129  0.03
H -1.4790 -0.0067 3.5589  0.00
H -3.6292 -2.7782 0.9847  0.02
H -4.3860 -1.7155 -0.2267  0.01
H -4.7428 -1.5030 1.4959  0.02
H -3.2188 2.1287 0.4190  0.02
H -3.2369 1.8735 2.1625  0.08
H -5.2200 0.8923 3.2241  0.12
H -7.5670 0.1431 3.0890  0.12
H -8.6447 -0.1151 0.8711  0.12
H -7.4127 0.5014 -1.1629  0.12
H -4.6760 2.5843 -1.3014  0.08
H -5.7020 1.4906 -2.2216  0.07
H -5.0016 -0.5569 -3.9387  0.03
H -4.2724 -1.7816 -2.8789  0.01
H -3.3668 -1.1616 -4.2738  0.02
H -4.1577 2.1693 -4.3597  0.03
H -2.4526 1.7822 -4.7001  0.01
H -2.8544 3.0801 -3.5494  0.02
B 0.3100 -1.6391 -4.2167  -0.39
N -0.7860 -2.3322 -3.3456  -0.05
C -1.2702 -3.5478 -3.5856  -0.03
C -1.9633 -3.9925 -2.4731  0.00
C -1.8560 -2.9532 -1.5730  -0.16
N -1.1524 -1.9350 -2.1041  -0.19
N 0.1047 -0.1025 -4.2094  -0.05
C 0.3957 0.6908 -5.2456  -0.03
C 0.4677 1.9922 -4.8024  0.00
C 0.1990 1.9054 -3.4436  -0.15
N -0.0096 0.6344 -3.0858  -0.15
H 1.3970 -1.8965 -3.7519  0.08
H 0.1663 -2.0241 -5.3428  0.09
H -1.0691 -4.0289 -4.5257  0.14
H -2.4699 -4.9304 -2.3433  0.12
H -2.2210 -2.8889 -0.5754  0.06
H 0.5448 0.2679 -6.2227  0.14
H 0.6818 2.8740 -5.3757  0.12
H 0.1686 2.7028 -2.7228  0.09
C 5.6948 2.7125 2.0448  -0.41
S 6.4404 1.2665 1.3519  0.85
C 5.0452 0.2864 0.8729  -0.53
C 4.1437 -0.0302 2.0796  -0.22
C 3.0747 -1.0583 1.7355  -0.23
N 1.8840 -0.4430 1.1477  -0.43
P 0.8667 0.6445 2.0578  1.04
C 1.6604 2.2741 1.8425  -0.38
C 1.1524 3.3623 2.5528  -0.13
C 1.6405 4.6408 2.3332  -0.05
C 2.6225 4.8605 1.3739  -0.05
C 3.1064 3.7924 0.6336  -0.11
C 2.6279 2.5080 0.8706  -0.13
C 1.2925 0.1832 3.7799  -0.36
C 0.8030 -1.0348 4.2550  -0.15
C 1.0075 -1.4292 5.5670  -0.06
C 1.6823 -0.5903 6.4443  -0.05
C 2.1593 0.6303 5.9940  -0.05
C 1.9717 1.0123 4.6712  -0.07
P 1.3569 -1.0064 -0.3578  0.92
C 2.7988 -0.7373 -1.4424  -0.34
C 2.9084 0.5102 -2.0543  -0.13
C 3.9922 0.8129 -2.8665  -0.04
C 4.9827 -0.1364 -3.0837  -0.04
C 4.8950 -1.3784 -2.4703  -0.04
C 3.8135 -1.6757 -1.6504  -0.10
C 1.1511 -2.8028 -0.1890  -0.35
C 1.3801 -3.6989 -1.2311  -0.10
C 1.1375 -5.0527 -1.0470  -0.05
C 0.6515 -5.5196 0.1650  -0.05
C 0.3941 -4.6290 1.1972  -0.05
C 0.6434 -3.2773 1.0192  -0.10
H 6.4708 3.4714 2.1352  0.05
H 5.2982 2.4708 3.0354  0.04
H 4.8801 3.0494 1.3945  -0.01
H 5.4650 -0.6119 0.4170  0.07
H 4.5167 0.8483 0.0910  0.04
H 3.6727 0.8833 2.4402  0.07
H 4.7443 -0.4258 2.9056  0.13
H 2.8041 -1.5973 2.6443  0.11
H 3.4699 -1.8054 1.0435  0.11
H 0.3569 3.2175 3.2754  0.12
H 1.2392 5.4708 2.8972  0.12
H 2.9851 5.8618 1.1887  0.12
H 3.8439 3.9593 -0.1431  0.13
H 2.9900 1.6839 0.2698  0.06
H 0.2483 -1.6862 3.5914  0.06
H 0.6310 -2.3829 5.9092  0.11
H 1.8253 -0.8839 7.4746  0.12
H 2.6798 1.2918 6.6732  0.12
H 2.3634 1.9671 4.3392  0.10
H 2.1499 1.2625 -1.8846  0.08
H 4.0530 1.7830 -3.3411  0.12
H 5.8177 0.0889 -3.7334  0.12
H 5.6642 -2.1210 -2.6360  0.12
H 3.7650 -2.6543 -1.1890  0.11
H 1.7287 -3.3459 -2.1902  0.09
H 1.3260 -5.7434 -1.8561  0.12
H 0.4725 -6.5764 0.3059  0.12
H 0.0104 -4.9888 2.1423  0.11
H 0.4496 -2.5821 1.8274  0.07
O 0.4426 3.8817 -0.7786  -0.23
Cl -0.7204 3.2128 -0.3121  0.73
O -1.8330 3.3533 -1.1986  -0.33
O -1.0393 3.5252 1.0309  -0.24
O -0.3538 1.7178 -0.2853  -0.68

Atoms 1-6, force components in eV/Å:
Re 0.551 0.752 -0.427
C 0.151 -0.064 -0.095
Sb -0.622 -0.039 0.391
C 0.096 -0.071 -0.113
C 0.069 0.149 -0.201
- - -
_Outcome_
C 3.1064 3.7924 0.6336  -0.11
C 2.6279 2.5080 0.8706  -0.13
C 1.2925 0.1832 3.7799  -0.36
C 0.8030 -1.0348 4.2550  -0.15
C 1.0075 -1.4292 5.5670  -0.06
C 1.6823 -0.5903 6.4443  -0.05
C 2.1593 0.6303 5.9940  -0.05
C 1.9717 1.0123 4.6712  -0.07
P 1.3569 -1.0064 -0.3578  0.92
C 2.7988 -0.7373 -1.4424  -0.34
C 2.9084 0.5102 -2.0543  -0.13
C 3.9922 0.8129 -2.8665  -0.04
C 4.9827 -0.1364 -3.0837  -0.04
C 4.8950 -1.3784 -2.4703  -0.04
C 3.8135 -1.6757 -1.6504  -0.10
C 1.1511 -2.8028 -0.1890  -0.35
C 1.3801 -3.6989 -1.2311  -0.10
C 1.1375 -5.0527 -1.0470  -0.05
C 0.6515 -5.5196 0.1650  -0.05
C 0.3941 -4.6290 1.1972  -0.05
C 0.6434 -3.2773 1.0192  -0.10
H 6.4708 3.4714 2.1352  0.05
H 5.2982 2.4708 3.0354  0.04
H 4.8801 3.0494 1.3945  -0.01
H 5.4650 -0.6119 0.4170  0.07
H 4.5167 0.8483 0.0910  0.04
H 3.6727 0.8833 2.4402  0.07
H 4.7443 -0.4258 2.9056  0.13
H 2.8041 -1.5973 2.6443  0.11
H 3.4699 -1.8054 1.0435  0.11